Data >
# 1
Formula: C32H47N7O6PSn
Source: the OMol25 dataset
Level of theory: ωB97M-V/def2-TZVPD

Values from the calculation:
Net charge: +1
HOMO level (eV): -10.0223
HOMO-LUMO gap (eV): 8.2
Spin multiplicity: 1

Each line ends with the Löwdin charge.
CARTESIAN COORDINATES (ANGSTROEM)
Sn (-0.0154, 0.5500, 1.2841)  1.424
C (-0.7107, -2.4887, 0.3292)  -0.097
O (-1.4006, -1.2422, 0.0294)  -0.351
C (-2.4626, -1.4771, -0.9446)  -0.170
C (-3.1872, -0.2157, -1.2429)  -0.172
O (-3.9616, 0.2828, -0.1577)  -0.163
C (-4.9537, -0.6368, 0.3290)  -0.159
C (-4.5022, -1.4664, 1.5375)  -0.139
O (-4.2930, -0.5618, 2.6715)  -0.198
C (-3.5539, -1.0748, 3.8037)  -0.081
H (0.0707, -2.7239, -0.4785)  0.099
H (-1.3848, -3.3289, 0.4069)  0.086
H (-0.0075, -2.4538, 1.2005)  0.075
H (-3.1379, -2.2472, -0.6055)  0.110
H (-1.9944, -1.7292, -1.9383)  0.155
H (-3.7562, -0.2842, -2.1324)  0.124
H (-2.4636, 0.5860, -1.3422)  0.120
H (-5.2072, -1.3450, -0.4371)  0.121
H (-5.8756, -0.0928, 0.5694)  0.135
H (-3.6236, -1.9776, 1.2050)  0.096
H (-5.3651, -2.0479, 1.6288)  0.112
H (-3.8420, -2.1396, 4.0365)  0.111
H (-3.9155, -0.5427, 4.6686)  0.081
H (-2.4946, -0.9502, 3.7886)  0.051
C (-2.2703, 5.1012, -1.4694)  -0.042
N (-1.1640, 4.1911, -1.3252)  -0.133
C (0.1357, 4.5018, -1.9934)  0.005
C (-1.2454, 3.1710, -0.4192)  -0.359
N (-0.3034, 2.2971, -0.2042)  0.063
N (-2.4876, 2.9797, 0.1757)  0.157
C (-2.8161, 2.3881, 1.3566)  -0.489
N (-4.1458, 2.5033, 1.6914)  0.180
N (-1.9621, 1.7833, 2.1402)  0.018
H (-1.8772, 6.0123, -1.9297)  0.105
H (-2.7125, 5.2687, -0.4822)  0.101
H (-3.0796, 4.7279, -2.0581)  0.085
H (0.4991, 5.5567, -1.8076)  0.117
H (-0.0876, 4.4139, -3.0570)  0.094
H (0.8821, 3.7377, -1.8051)  0.075
H (0.6196, 2.4848, -0.5706)  0.041
H (-3.1767, 3.3900, -0.3799)  0.105
H (-4.6939, 2.5473, 0.8519)  0.099
H (-4.4546, 1.7486, 2.2005)  0.050
H (-2.4195, 1.4686, 3.0401)  0.089
C (3.1451, 4.0080, 2.4874)  0.014
C (2.5888, 2.6449, 2.6161)  -0.492
O (1.6927, 2.3155, 1.8223)  -0.092
N (3.0375, 1.8340, 3.5976)  0.089
C (2.7014, 0.4328, 3.6002)  -0.111
C (1.6122, 0.0696, 4.6127)  -0.298
C (1.0298, -1.2077, 4.6166)  -0.046
C (0.0193, -1.4461, 5.4804)  -0.091
C (-0.3626, -0.4343, 6.3546)  -0.089
C (0.2645, 0.7694, 6.2866)  -0.123
N (1.2655, 1.0295, 5.4034)  0.115
H (2.7383, 4.7025, 3.2005)  0.085
H (2.9236, 4.4201, 1.4852)  0.098
H (4.2513, 3.8841, 2.7152)  0.114
H (3.5962, 2.2512, 4.2976)  0.140
H (3.6114, -0.1328, 3.8654)  0.149
H (2.3974, 0.1622, 2.6294)  0.045
H (1.3774, -1.9783, 3.9310)  0.125
H (-0.4462, -2.4628, 5.4532)  0.131
H (-1.1329, -0.6745, 7.0846)  0.109
H (0.0428, 1.6292, 7.0141)  0.135
O (2.4298, -1.2765, 0.5572)  -0.023
C (2.2916, -0.4376, -0.3434)  -0.723
O (1.5085, 0.5782, -0.2507)  -0.273
C (3.0263, -0.6128, -1.6565)  -0.254
P (1.7748, -1.1392, -2.9226)  1.079
C (2.9187, -0.9688, -4.4380)  -0.333
C (3.3717, -2.0488, -5.1518)  -0.113
C (3.9642, -1.9405, -6.4109)  -0.069
C (4.0389, -0.6754, -7.0171)  -0.059
C (3.4716, 0.4308, -6.3354)  -0.116
C (3.0499, 0.3052, -5.0759)  -0.136
C (1.6515, -2.9205, -2.6323)  -0.418
C (2.4358, -3.7331, -1.7680)  -0.078
C (2.1069, -5.0501, -1.5711)  -0.103
C (1.1490, -5.6544, -2.3036)  -0.117
C (0.5019, -4.9993, -3.3233)  -0.060
C (0.7591, -3.6111, -3.4574)  -0.126
H (3.8555, -1.2848, -1.6524)  0.081
H (3.3584, 0.3800, -1.9218)  0.085
H (3.1935, -3.0844, -4.8698)  0.102
H (4.4123, -2.8006, -6.8101)  0.086
H (4.4523, -0.4989, -8.0142)  0.104
H (3.6203, 1.4022, -6.8116)  0.108
H (2.6474, 1.1944, -4.5710)  0.101
H (3.0853, -3.1984, -1.0554)  0.100
H (2.6423, -5.5577, -0.7188)  0.133
H (0.9046, -6.6570, -2.1155)  0.092
H (-0.2510, -5.4840, -4.0177)  0.129
H (0.0732, -3.1390, -4.0595)  0.068

=====

# 2
Formula: C32H48B4F25N2O13
Source: the OMol25 dataset
Level of theory: ωB97M-V/def2-TZVPD

Values from the calculation:
Net charge: -1
HOMO level (eV): -5.0118
HOMO-LUMO gap (eV): 6.7
Spin multiplicity: 1

Each line ends with the Löwdin charge.
CARTESIAN COORDINATES (ANGSTROEM)
C (-2.4475, 1.9110, 7.1511)  0.017

Activity >
Could you duplicate all of the listing earlier on character by character?

Done >
# 1
Formula: C32H47N7O6PSn
Source: the OMol25 dataset
Level of theory: ωB97M-V/def2-TZVPD

Values from the calculation:
Net charge: +1
HOMO level (eV): -10.0223
HOMO-LUMO gap (eV): 8.2
Spin multiplicity: 1

Each line ends with the Löwdin charge.
CARTESIAN COORDINATES (ANGSTROEM)
Sn (-0.0154, 0.5500, 1.2841)  1.424
C (-0.7107, -2.4887, 0.3292)  -0.097
O (-1.4006, -1.2422, 0.0294)  -0.351
C (-2.4626, -1.4771, -0.9446)  -0.170
C (-3.1872, -0.2157, -1.2429)  -0.172
O (-3.9616, 0.2828, -0.1577)  -0.163
C (-4.9537, -0.6368, 0.3290)  -0.159
C (-4.5022, -1.4664, 1.5375)  -0.139
O (-4.2930, -0.5618, 2.6715)  -0.198
C (-3.5539, -1.0748, 3.8037)  -0.081
H (0.0707, -2.7239, -0.4785)  0.099
H (-1.3848, -3.3289, 0.4069)  0.086
H (-0.0075, -2.4538, 1.2005)  0.075
H (-3.1379, -2.2472, -0.6055)  0.110
H (-1.9944, -1.7292, -1.9383)  0.155
H (-3.7562, -0.2842, -2.1324)  0.124
H (-2.4636, 0.5860, -1.3422)  0.120
H (-5.2072, -1.3450, -0.4371)  0.121
H (-5.8756, -0.0928, 0.5694)  0.135
H (-3.6236, -1.9776, 1.2050)  0.096
H (-5.3651, -2.0479, 1.6288)  0.112
H (-3.8420, -2.1396, 4.0365)  0.111
H (-3.9155, -0.5427, 4.6686)  0.081
H (-2.4946, -0.9502, 3.7886)  0.051
C (-2.2703, 5.1012, -1.4694)  -0.042
N (-1.1640, 4.1911, -1.3252)  -0.133
C (0.1357, 4.5018, -1.9934)  0.005
C (-1.2454, 3.1710, -0.4192)  -0.359
N (-0.3034, 2.2971, -0.2042)  0.063
N (-2.4876, 2.9797, 0.1757)  0.157
C (-2.8161, 2.3881, 1.3566)  -0.489
N (-4.1458, 2.5033, 1.6914)  0.180
N (-1.9621, 1.7833, 2.1402)  0.018
H (-1.8772, 6.0123, -1.9297)  0.105
H (-2.7125, 5.2687, -0.4822)  0.101
H (-3.0796, 4.7279, -2.0581)  0.085
H (0.4991, 5.5567, -1.8076)  0.117
H (-0.0876, 4.4139, -3.0570)  0.094
H (0.8821, 3.7377, -1.8051)  0.075
H (0.6196, 2.4848, -0.5706)  0.041
H (-3.1767, 3.3900, -0.3799)  0.105
H (-4.6939, 2.5473, 0.8519)  0.099
H (-4.4546, 1.7486, 2.2005)  0.050
H (-2.4195, 1.4686, 3.0401)  0.089
C (3.1451, 4.0080, 2.4874)  0.014
C (2.5888, 2.6449, 2.6161)  -0.492
O (1.6927, 2.3155, 1.8223)  -0.092
N (3.0375, 1.8340, 3.5976)  0.089
C (2.7014, 0.4328, 3.6002)  -0.111
C (1.6122, 0.0696, 4.6127)  -0.298
C (1.0298, -1.2077, 4.6166)  -0.046
C (0.0193, -1.4461, 5.4804)  -0.091
C (-0.3626, -0.4343, 6.3546)  -0.089
C (0.2645, 0.7694, 6.2866)  -0.123
N (1.2655, 1.0295, 5.4034)  0.115
H (2.7383, 4.7025, 3.2005)  0.085
H (2.9236, 4.4201, 1.4852)  0.098
H (4.2513, 3.8841, 2.7152)  0.114
H (3.5962, 2.2512, 4.2976)  0.140
H (3.6114, -0.1328, 3.8654)  0.149
H (2.3974, 0.1622, 2.6294)  0.045
H (1.3774, -1.9783, 3.9310)  0.125
H (-0.4462, -2.4628, 5.4532)  0.131
H (-1.1329, -0.6745, 7.0846)  0.109
H (0.0428, 1.6292, 7.0141)  0.135
O (2.4298, -1.2765, 0.5572)  -0.023
C (2.2916, -0.4376, -0.3434)  -0.723
O (1.5085, 0.5782, -0.2507)  -0.273
C (3.0263, -0.6128, -1.6565)  -0.254
P (1.7748, -1.1392, -2.9226)  1.079
C (2.9187, -0.9688, -4.4380)  -0.333
C (3.3717, -2.0488, -5.1518)  -0.113
C (3.9642, -1.9405, -6.4109)  -0.069
C (4.0389, -0.6754, -7.0171)  -0.059
C (3.4716, 0.4308, -6.3354)  -0.116
C (3.0499, 0.3052, -5.0759)  -0.136
C (1.6515, -2.9205, -2.6323)  -0.418
C (2.4358, -3.7331, -1.7680)  -0.078
C (2.1069, -5.0501, -1.5711)  -0.103
C (1.1490, -5.6544, -2.3036)  -0.117
C (0.5019, -4.9993, -3.3233)  -0.060
C (0.7591, -3.6111, -3.4574)  -0.126
H (3.8555, -1.2848, -1.6524)  0.081
H (3.3584, 0.3800, -1.9218)  0.085
H (3.1935, -3.0844, -4.8698)  0.102
H (4.4123, -2.8006, -6.8101)  0.086
H (4.4523, -0.4989, -8.0142)  0.104
H (3.6203, 1.4022, -6.8116)  0.108
H (2.6474, 1.1944, -4.5710)  0.101
H (3.0853, -3.1984, -1.0554)  0.100
H (2.6423, -5.5577, -0.7188)  0.133
H (0.9046, -6.6570, -2.1155)  0.092
H (-0.2510, -5.4840, -4.0177)  0.129
H (0.0732, -3.1390, -4.0595)  0.068

=====

# 2
Formula: C32H48B4F25N2O13
Source: the OMol25 dataset
Level of theory: ωB97M-V/def2-TZVPD

Values from the calculation:
Net charge: -1
HOMO level (eV): -5.0118
HOMO-LUMO gap (eV): 6.7
Spin multiplicity: 1

Each line ends with the Löwdin charge.
CARTESIAN COORDINATES (ANGSTROEM)
C (-2.4475, 1.9110, 7.1511)  0.017